- maize yield simulation 产量模拟
- And Under the same irrigation water use, AFI can not decrease maize yield. 在同等灌水量水平下 ,采用交替隔沟灌溉不降低玉米产量 ;
- The difference increase gradually after 1999, and the declined trend of maize yield is NPK, NP, N, CK. 1999年以后各处理之间差异逐渐增大,产量由高到低依次为NPK,NP,N,CK。
- For example, note the effects of nitrogen (N) and phosphorus (P) on irrigated maize yield in Fig.1. 比如,请注意图1中氮(N)和磷(P)对灌溉玉米产量的影响。
- The phosphorus fertilizer and farmyard manure had the best effects on maize yield in Drab Fluvo-aquic soil. 相关分析表明,在褐潮土上增施磷肥和有机肥对提高玉米产量具有重要的作用。
- Progress in studies on maize yield QTL and the genetic theoretical basis of heterosis by using molecular markers are reviewed. 综述了分子标记在玉米产量QTL和杂种优势遗传基础方面的概况。
- Taking Jiyou No.1 as experimental material, the effects of 8 different sowing-date and 4 harvest-time on maize yield were conducted. 摘要以吉油1号玉米为试材,研究8个不同播期和4个不同收获期对玉米产量的影响。
- Long-term fertilization could increase the P supply amount by SMB-P, there was a significant correlation between P supplying amount by SMB-P with maize yield and P uptake. 玉米生长季内土壤微生物量磷的动态变化呈先上升后下降的趋势,其含量最大值出现在玉米生长中后期;
**These calculated crystals were left in the article by mistake**
# 1
Compound: PmHg3
Source: the Materials Project database
Functional: PBE-GGA
Structure: relaxed

Unit cell a=7.352 b=7.352 c=7.352 alpha=90.00 beta=90.00 gamma=90.00
Fractional coordinates of all 16 atoms:
Pm1 0.000 0.000 0.000
Pm2 0.000 0.500 0.500
Pm3 0.500 0.000 0.500
Pm4 0.500 0.500 0.000
Hg1 0.000 0.000 0.500
Hg2 0.000 0.500 0.000
Hg3 0.250 0.250 0.250
Hg4 0.250 0.250 0.750
Hg5 0.250 0.750 0.250
Hg6 0.250 0.750 0.750
Hg7 0.500 0.000 0.000
Hg8 0.500 0.500 0.500
Hg9 0.750 0.250 0.250
Hg10 0.750 0.250 0.750
Hg11 0.750 0.750 0.250
Hg12 0.750 0.750 0.750

# 2
Compound: Ca2Sn3O8
Source: the Materials Project database
Functional: PBE-GGA
Structure: relaxed

Unit cell a=6.585 b=6.585 c=5.407 alpha=108.03 beta=108.03 gamma=58.38
Fractional coordinates of all 13 atoms:
Ca1 0.220 0.220 0.158
Ca2 0.780 0.780 0.842
Sn1 0.237 0.763 0.500
Sn2 0.500 0.500 0.000
Sn3 0.763 0.237 0.500
O1 0.111 0.111 0.448
O2 0.169 0.613 0.101
O3 0.387 0.831 0.899
O4 0.398 0.398 0.585
O5 0.602 0.602 0.415
O6 0.613 0.169 0.101
O7 0.831 0.387 0.899
O8 0.889 0.889 0.552

Output
Energy above the most stable polymorph in this dataset (kcal/mol of atoms): 0.000

# 3
Compound: Li2Mo3S4
Source: the Materials Project database
Functional: PBE-GGA
Structure: relaxed

Unit cell a=6.705 b=6.710 c=6.710 alpha=95.15 beta=95.10 gamma=94.07
Fractional coordinates of all 18 atoms:
Li1 0.000 0.000 0.000
Li2 0.004 0.632 0.577
Li3 0.044 0.486 0.080
Li4 0.458 0.616 0.956
Mo1 0.258 0.148 0.393
Mo2 0.440 0.836 0.524
Mo3 0.481 0.191 0.747
Mo4 0.570 0.013 0.213
Mo5 0.611 0.368 0.434
Mo6 0.792 0.057 0.568
S1 0.159 0.980 0.690
S2 0.241 0.813 0.193
S3 0.314 0.473 0.606
S4 0.394 0.313 0.112
S5 0.653 0.893 0.850
S6 0.736 0.731 0.351
S7 0.812 0.387 0.768
S8 0.892 0.226 0.270

# 4
Compound: CaEuZrTiO6
Source: the Materials Project database
Functional: PBE-GGA
Structure: relaxed

Unit cell a=5.692 b=5.692 c=5.692 alpha=60.00 beta=60.00 gamma=60.00
Fractional coordinates of all 10 atoms:
Ca1 0.000 0.000 0.000
Eu1 0.500 0.500 0.500
Zr1 0.250 0.250 0.250
Ti1 0.750 0.750 0.750
O1 0.508 0.508 0.992
O2 0.508 0.992 0.508
O3 0.508 0.992 0.992
O4 0.992 0.508 0.508
O5 0.992 0.508 0.992
O6 0.992 0.992 0.508

Output
M_tot (Bohr magnetons per cell): 7.00

# 5
Compound: HoHSe
Source: the Materials Project database
Functional: PBE-GGA
Structure: relaxed

Unit cell a=3.823 b=3.823 c=3.896 alpha=90.00 beta=90.00 gamma=120.00
Fractional coordinates of all 3 atoms:
Ho1 0.000 0.000 0.000
H1 0.667 0.333 0.000
Se1 0.333 0.667 0.500

Output
Maximum piezoelectric response (C/m²): 0.49

# 6
Compound: V5Ge3
Source: the Materials Project database
Functional: PBE-GGA
Structure: relaxed

Unit cell a=7.193 b=7.193 c=7.193 alpha=96.54 beta=96.54 gamma=140.57
Fractional coordinates of all 16 atoms:
V1 0.075 0.771 0.846
V2 0.229 0.075 0.303
V3 0.250 0.750 0.500
V4 0.271 0.575 0.846
V5 0.425 0.271 0.697
V6 0.575 0.729 0.303
V7 0.729 0.425 0.154
V8 0.750 0.250 0.500
V9 0.771 0.925 0.697
V10 0.925 0.229 0.154
Ge1 0.166 0.334 0.500
- Most of the soil in southwest of our country is red soil, the leanness and the phosphorite deficiency act as the key non-biotic stress to confine the maize yield improvement. 在我国西南玉米生态区多数红壤,土壤贫瘠,有效磷严重缺乏,更是限制玉米产量的重要非生物胁迫因素。
- After combining research results of defects model, negative binomial randomnumber generation, CIF layout decoding, fault-recognition and Monte Carlofunctional yield simulation methodology, a functional yield simulation system isdeveloped. 成功的开发了Monte Carlo功能成品率仿真系统。 该系统综合了本文在制造缺陷模型、负二项分布随机数发生、CIF版图解码、缺陷故障识别以及MC成品率仿真策略等方面的研究结果,用超过8000行C++语言编程实现了图形界面交互式功能成品率仿真。
- Through the synthesis analysis of the field,spike characters and leaves nutrient content of N,P and K in maize,the treatment of N2K2 was the best and its maize yield was at 11 183.3 kg/hm2 while soil P content was at 35.3 mg/kg. 综合玉米产量、穗部性状、叶片以及土壤氮磷钾养分含量分析;在土壤含磷量为35.;3 mg/kg时;以N2K2配施效果最好;玉米产量高达11 183
- The maize yields of various treatments and factors are given in Table 5 and Table 6. 表5和表6给出各处理的玉米产量和产量因子。
- Wheat, maize yields highest ranked province, apple for the Beijing market, the province's first cattle. 小麦、玉米单产名列全省前茅,苹果专供北京市场,养牛全省第一。
- We will never yield to invaders. 我们绝不会向侵略者屈服。
/*
#a
## Mn2ZnO4 (PBE with a Hubbard U)

Data for an optimized crystal structure of Mn2ZnO4.

The calculation puts the magnetization at 8.00 μB per formula unit. For the density, the calculation gives 5.01 g/cm3. Its volume is 11.33 Å³ per atom.

a b c (Å): 6.084 6.084 20.133
angles (deg): 81.59 81.59 59.73
Fractional positions:
O 0.028 0.559 0.319
O 0.190 0.722 0.432
O 0.226 0.683 0.937
O 0.683 0.226 0.937
O 0.681 0.681 0.937
O 0.070 0.070 0.321
O 0.807 0.281 0.569
O 0.071 0.071 0.813
O 0.570 0.570 0.320
O 0.978 0.434 0.687
O 0.324 0.324 0.065
O 0.769 0.318 0.063
O 0.934 0.934 0.180
O 0.429 0.429 0.685
O 0.319 0.319 0.571
O 0.281 0.807 0.569
O 0.679 0.679 0.430
O 0.468 0.943 0.181
O 0.181 0.181 0.927
O 0.930 0.930 0.678
O 0.820 0.820 0.071
O 0.559 0.028 0.319
O 0.569 0.569 0.821
O 0.318 0.769 0.063
O 0.180 0.180 0.430
O 0.521 0.067 0.813
O 0.430 0.430 0.179
O 0.943 0.468 0.181
O 0.067 0.521 0.813
O 0.722 0.190 0.432
O 0.816 0.816 0.571
O 0.434 0.978 0.687
Mn 0.375 0.875 0.375
Mn 0.501 0.501 0.000
Mn 0.350 0.350 0.466
Mn 0.624 0.124 0.125
Mn 0.400 0.400 0.283
Mn 0.650 0.650 0.532
Mn 0.099 0.099 0.219
Mn 0.126 0.626 0.625
Mn 0.151 0.151 0.031
Mn 0.875 0.375 0.375
Mn 0.124 0.624 0.125
Mn 0.875 0.375 0.875
Mn 0.626 0.126 0.625
Mn 0.249 0.249 0.750
Mn 0.901 0.901 0.780
Mn 0.375 0.875 0.875
Zn 0.751 0.751 0.250
Zn 0.875 0.875 0.375
Zn 0.375 0.375 0.875
Zn 0.999 0.999 0.500
Zn 0.625 0.625 0.127
Zn 0.601 0.601 0.718
Zn 0.850 0.850 0.970
Zn 0.126 0.126 0.623

---

#b
## Mn2ZnO4 (PBE with a Hubbard U)

Data for an optimized crystal structure of Mn2ZnO4.

The calculation puts the magnetization at 8.00 μB per formula unit. For the density, the calculation gives 5.00 g/cm3. Its volume is 11.34 Å³ per atom.

a b c (Å): 6.078 6.078 6.078
angles (deg): 60.00 60.00 60.00
Fractional positions:
Mn 0.125 0.625 0.125
Mn 0.125 0.125 0.625
Mn 0.125 0.125 0.125
Mn 0.625 0.125 0.125
O 0.364 0.364 0.908
O 0.886 0.342 0.886
O 0.886 0.886 0.342
O 0.364 0.908 0.364
O 0.364 0.364 0.364
O 0.886 0.886 0.886
O 0.342 0.886 0.886
O 0.908 0.364 0.364
Zn 0.750 0.750 0.750
Zn 0.500 0.500 0.500

---

#b (7 meV per atom below the next structure)

---

#a
## BaNdCo2O5 (PBE with a Hubbard U)

Data for an optimized crystal structure of BaNdCo2O5.

The calculation puts the magnetization at 5.84 μB per formula unit. For the density, the calculation gives 6.53 g/cm3. Its volume is 13.55 Å³ per atom.

a b c (Å): 3.958 3.958 7.783
angles (deg): 90.00 90.00 90.00
Fractional positions:
O 0.500 0.000 0.808
O 0.000 0.500 0.808
O 0.000 0.000 0.500
O 0.000 0.500 0.192
O 0.500 0.000 0.192
Co 0.000 0.000 0.755
Co 0.000 0.000 0.245
Ba 0.500 0.500 0.500
Nd 0.500 0.500 0.000

---

#b
## BaNdCo2O5 (PBE with a Hubbard U)

Data for an optimized crystal structure of BaNdCo2O5.

The calculation puts the magnetization at 5.00 μB per formula unit. For the density, the calculation gives 6.54 g/cm3. Its volume is 13.54 Å³ per atom.

a b c (Å): 3.940 3.915 7.898
angles (deg): 90.00 90.00 90.00
Fractional positions:
*/
- Effect of Different Harvest Methods on Maize Yield 玉米不同收获方式对产量的影响
- Effects of Cover with Wheat Straw on Maize Yield 小麦秸秆覆土对玉米产量的影响
- Super Yield Simulation and Individual Selection in Soybean 大豆超高产模拟分析与单株选择
- Effects of Plant Growth Regulators on Maize Yield 植物生长调节剂在玉米上的增产效果试验初报
- Maize is widely planted in the America. 玉米在美洲广泛种植。
- Then, By considering the temperature signal as the input, a simulation model for the IR starring imaging system is built, which yields simulated images of patterns of different sizes and contrasts. 然后,通过基于温度级输入信号的凝视型红外成像系统效应仿真模型,输出高置信度的靶标效应仿真图像;